Garen Yegparian
No, this is not about a dark-themed, three-decade old movie, but it does involve suffering of a different sort.
It involves Turkey, and it’s wanna-be imperialist government’s actions, causing untold misery and utterly unnecessary deprivation to Armenians and hundreds of thousands of others.
It involves brave, dedicated, decent Armenians helping everyone around them who is in need.
It involves standing up for what’s right.
It involves coming to the aid of our compatriots who are quite literally under fire.
It involves presenting a unified front against the fanatic mentality that is playing out in Mesopotamia and the Levant today, the same mindset that enabled genocidal/Machiavellian “princes” ensconced in Constantinople a century ago to “sign the death warrant of a whole race” as Henry Morgenthau described it.
'''
1 | C37H33Cl3CrF6NO2S2Si | the ωB97M-V functional and the def2-TZVPD basis

Output
E_HOMO (alpha / beta) = -0.979 / -1.133 eV
E_LUMO (alpha / beta) = 0.1427 / 0.1426 hartree
expectation value of S² = 0.7810
Kohn-Sham gap (alpha / beta) = 4.861 / 5.015 eV
multiplicity = 2
net charge = -2

The geometry in XYZ format:
```
86
C37H33Cl3CrF6NO2S2Si (the ωB97M-V functional and the def2-TZVPD basis)
Cr -0.36484 -0.76371 -1.18281
F 0.48168 -7.49112 -4.08494
C 0.71388 -6.27641 -3.55059
C -0.31683 -5.54605 -2.98697
F -1.55315 -6.05740 -2.96682
C -0.06790 -4.29773 -2.44164
F -1.10626 -3.66848 -1.89200
C 1.20000 -3.71529 -2.43494
S 1.57179 -2.15565 -1.74654
C 2.21431 -4.48904 -3.00680
F 3.47686 -4.03281 -3.05352
C 1.99128 -5.73767 -3.55461
F 3.00603 -6.43406 -4.09630
C -5.16940 2.59880 2.91569
C -4.95190 1.47387 1.94135
C -5.10623 0.15008 2.32697
C -4.86233 -0.88685 1.43764
C -4.46487 -0.59651 0.14314
C -4.27942 0.71959 -0.26004
C -4.54131 1.74154 0.63747
S -4.09156 -1.98683 -0.91724
C -5.10793 -1.50515 -2.30911
O -4.77682 -3.17054 -0.30396
H -5.75912 2.27284 3.77277
H -5.68693 3.43581 2.44467
H -4.21721 2.97758 3.29280
H -5.41319 -0.07903 3.34144
H -4.98431 -1.92207 1.72465
H -3.89186 0.95032 -1.24501
H -4.39769 2.76877 0.32395
H -6.13698 -1.39329 -1.96875
H -5.01819 -2.31437 -3.03243
H -4.71537 -0.59988 -2.76323
F 2.91432 -3.38536 4.21610
C 1.94200 -2.98086 3.33670
C 1.53370 -3.84436 2.34145
C 0.55700 -3.42100 1.45456
C -0.02956 -2.15126 1.53598
C -1.03236 -1.70462 0.55203
C 0.41302 -1.32648 2.57585
C 1.39594 -1.72185 3.47222
H 1.98395 -4.82497 2.25689
H 0.24243 -4.08851 0.66083
H -1.67665 -0.93445 0.98846
H -1.64833 -2.54077 0.21963
H -0.01979 -0.33923 2.67608
H 1.73553 -1.06675 4.26322
N -0.88685 0.89345 -1.35542
C -0.46742 2.15152 -1.37788
C 0.77690 2.53897 -1.95251
C 1.21853 3.84686 -1.90719
C 0.45914 4.85699 -1.32393
C -0.79001 4.50865 -0.80234
C -1.24255 3.20969 -0.82227
H 1.35435 1.78395 -2.47265
H 2.17945 4.08827 -2.35202
H 0.81044 5.87995 -1.30409
H -1.41593 5.27680 -0.35507
H -2.19349 2.95662 -0.38277
C 5.52989 4.11890 2.96259
C 4.64224 3.21730 2.14600
C 5.17441 2.38321 1.17096
C 4.36122 1.54078 0.42115
C 5.00894 0.66383 -0.62160
C 2.97990 1.53037 0.66902
C 2.17172 0.57407 -0.13648
O 1.05994 0.16735 0.16936
C 2.41435 2.37598 1.63390
C 0.93965 2.52295 1.88398
C 3.27073 3.20297 2.35582
H 6.55824 4.09784 2.60070
H 5.53825 3.81232 4.01157
H 5.18058 5.15296 2.92743
H 6.24313 2.38374 0.98298
H 6.08163 0.85496 -0.63510
H 4.62149 0.85909 -1.62188
H 4.85721 -0.39785 -0.42441
H 2.65895 0.17433 -1.03564
H 0.34616 1.69447 1.51803
H 0.58725 3.42179 1.37052
H 0.76234 2.65047 2.95419
H 2.83594 3.86501 3.09908
Cl -1.84103 -2.43413 -4.74646
Si -1.25392 -0.75034 -3.50940
Cl -2.84018 0.61815 -4.07068
Cl 0.32296 0.06896 -4.72177
```



2 | C37H33Cl3CrF6NO2S2Si | the ωB97M-V functional and the def2-TZVPD basis

Output
E_HOMO (alpha / beta) = -0.065 / 0.007 eV
E_LUMO (alpha / beta) = 0.1394 / 0.1394 hartree
expectation value of S² = 0.7730
'''
So much for the records of molecules =
It involves telling off the nitwits in D.C., Riyadh, Ankara, Paris, London, and any other capitals supporting the murderous forces wrecking two countries and millions of people’s lives in the name of removing from power their protagonists (justice seeking Kurds and a seriously flawed, but stable, rational, president). This farcical desire for “regime-change” is based either on arcane and inane religious/sectarian considerations or great-power machinations in pursuit of advantages in geopolitical competitions. These chicken-hawks are wrecking the lives of our compatriots along with others’.
It involves setting straight clueless media who parrot their governments’ propaganda lines.
It involves honoring the tradition of the Near East Relief Foundation not just by recognizing the great work it did for us in the immediate post-Genocide era, but by doing now what so many people did a century ago – giving to help people in a humanitarian crisis utterly not of their own making.
It involves enjoying the wry irony of where all this chaos is happening, the same places as our predecessors were death marched or interned in concentration camps to die.
It involves recognizing the “coincidence” of the Armenian neighborhoods of Aleppo being bombed by the anti-regime forces on the day of the Republic of Armenia’s re-independence by forces trained, supported, and armed by Turkey.
It involves doing the right thing.
It involves planning ahead so you don’t overspend in this holiday time of giving so your budget allows for a significant contribution.
It involves encouraging and engaging others, not just Armenians, to watch TV for a few hours, to support people who are just in much in need as “Jerry’s kids” or Ethiopians/Indians of a different time or victims of tsunamis/earthquakes.
It involves loosening your purse strings as a way of showing all the malign forces listed above that we are watching, we care about our compatriots, we will support them in their time of need, and we absolutely condemn the inept, immoral, hypocritical, and destructive policies being pursued by much of the West in the battle against Daesh/ISIL.
From the time of this writing, you have 9 ½ weeks to prepare, save up, avoid Starbucks, talk things up with friends, so you can proudly participate in SARF’s (Syrian Armenian Relief Fund) Save-A-Life telethon on February 21. Make sure you chip in with the largest contribution you can possibly afford.
Source: Asbarez
Link: 9 ½ Weeks